**What to do:**
Your job: reproduce every line underneath that contains the word "Unit".
**Source:**
┌──
1.
Here is crystalline Zr2Cr3Fe at its relaxed geometry from Materials Project. Energies are from GGA-PBE.

Unit cell a=5.0326 b=5.0326 c=8.1420 alpha=90.00 beta=90.00 gamma=119.27
With the nearest neighbours (Å) after each atom.
Sites, in units of the cell vectors:
Zr 0.3332 0.6668 0.8082  10 Cr 2.88-2.98, 2 Fe 2.90, 4 Zr 3.06-3.12
Zr 0.3332 0.6668 0.1918  10 Cr 2.88-2.98, 2 Fe 2.90, 4 Zr 3.06-3.12
Zr 0.6659 0.3341 0.3138  8 Cr 2.93-2.97, 4 Fe 2.94, 4 Zr 3.03-3.09
Zr 0.6659 0.3341 0.6862  8 Cr 2.93-2.97, 4 Fe 2.94, 4 Zr 3.03-3.09
Cr 0.9998 0.0002 0.2529  2 Fe 2.50, 4 Cr 2.50-2.54
Cr 0.8321 0.6624 0.0000  6 Cr 2.49-2.57
Cr 0.3376 0.1679 0.0000  6 Cr 2.49-2.57
Cr 0.1703 0.8297 0.5000  4 Fe 2.47-2.56, 2 Cr 2.50
Cr 0.9998 0.0002 0.7471  2 Fe 2.50, 4 Cr 2.50-2.54
Cr 0.8321 0.1679 0.0000  6 Cr 2.49-2.54
Fe 0.1673 0.3372 0.5000  4 Cr 2.47-2.56, 2 Fe 2.52-2.57
Fe 0.6628 0.8327 0.5000  4 Cr 2.47-2.56, 2 Fe 2.52-2.57

* formation enthalpy at 0 K: -0.07 eV per atom
* raw total energy: -54.92 eV per formula unit
* V: 90 Å³/f.u.



2.
Here is crystalline Zr2CrFe3 at its relaxed geometry from Materials Project. Energies are from GGA-PBE.

Unit cell a=4.9845 b=4.9845 c=8.2526 alpha=90.00 beta=90.00 gamma=120.79
With the nearest neighbours (Å) after each atom.
Sites, in units of the cell vectors:
Cr 0.8292 0.6614 0.0000  2 Cr 2.42-2.51, 4 Fe 2.46-2.53
Cr 0.3386 0.1708 0.0000  2 Cr 2.42-2.51, 4 Fe 2.46-2.53
Zr 0.3344 0.6656 0.8105  8 Fe 2.89-2.95, 4 Cr 2.93-2.96, 4 Zr 3.04-3.13
Zr 0.6667 0.3333 0.6852  10 Fe 2.90-2.96, 2 Cr 2.95, 4 Zr 3.04-3.06
Zr 0.3344 0.6656 0.1895  8 Fe 2.89-2.95, 4 Cr 2.93-2.96, 4 Zr 3.04-3.13
Zr 0.6667 0.3333 0.3148  10 Fe 2.90-2.96, 2 Cr 2.95, 4 Zr 3.04-3.06
Fe 0.9994 0.0006 0.7516  2 Cr 2.51, 4 Fe 2.52-2.53
Fe 0.6667 0.8329 0.5000  6 Fe 2.46-2.52
Fe 0.1666 0.8334 0.5000  6 Fe 2.49-2.53
Fe 0.1671 0.3333 0.5000  6 Fe 2.46-2.52
Fe 0.9994 0.0006 0.2484  2 Cr 2.51, 4 Fe 2.52-2.53
Fe 0.8306 0.1694 0.0000  4 Cr 2.46-2.53, 2 Fe 2.52

* formation enthalpy at 0 K: -0.19 eV per atom
* raw total energy: -53.31 eV per formula unit
* V: 88 Å³/f.u.



3.
Here is crystalline Zr2CrFe3 at its relaxed geometry from Materials Project. Energies are from GGA-PBE.

Unit cell a=4.9826 b=4.9826 c=8.0728 alpha=90.00 beta=90.00 gamma=120.00
With the nearest neighbours (Å) after each atom.
Sites, in units of the cell vectors:
Fe 0.3357 0.1678 0.7500  4 Fe 2.47-2.51, 2 Cr 2.48
Fe 0.6643 0.8322 0.2500  4 Fe 2.47-2.51, 2 Cr 2.48
Fe 0.8322 0.1678 0.7500  4 Fe 2.47-2.51, 2 Cr 2.48
Fe 0.1678 0.8322 0.2500  4 Fe 2.47-2.51, 2 Cr 2.48
Fe 0.1678 0.3357 0.2500  4 Fe 2.47-2.51, 2 Cr 2.48
Fe 0.8322 0.6643 0.7500  4 Fe 2.47-2.51, 2 Cr 2.48
Cr 0.0000 0.0000 0.5000  6 Fe 2.48
Cr 0.0000 0.0000 0.0000  6 Fe 2.48
Zr 0.6667 0.3333 0.4373  9 Fe 2.90-2.91, 3 Cr 2.92, 4 Zr 3.02-3.05
Zr 0.3333 0.6667 0.5627  9 Fe 2.90-2.91, 3 Cr 2.92, 4 Zr 3.02-3.05
Zr 0.6667 0.3333 0.0627  9 Fe 2.90-2.91, 3 Cr 2.92, 4 Zr 3.02-3.05
Zr 0.3333 0.6667 0.9373  9 Fe 2.90-2.91, 3 Cr 2.92, 4 Zr 3.02-3.05

* formation enthalpy at 0 K: -0.18 eV per atom
* raw total energy: -53.25 eV per formula unit
* V: 87 Å³/f.u.


Record 1
Na3MgP3H24O22 PBE relaxed; total energy = -5.457 eV per atom; energy of formation from the pure elements = -1741 meV per atom; total moment = 0.000 Bohr magnetons per cell; total energy after the MP2020 corrections = -5.743 eV per atom
1.0
14.765 0.000 0.000
0.000 9.269 0.000
-14.699 0.000 15.164
Na Mg P H O
12 4 12 96 88
Cartesian
-2.093 0.312 3.174
-9.442 4.322 10.756
-1.664 6.408 4.488
-9.013 7.495 12.070
3.654 2.184 0.944
-3.696 2.450 8.526
3.762 6.818 6.638
-3.588 7.085 14.220
9.079 1.773 3.094
1.729 2.861 10.676
9.508 4.946 4.408
2.159 8.957 11.990
-3.664 5.036 10.314
3.686 8.867 2.732
-3.620 0.401 12.432
3.730 4.233 4.850
1.606 6.683 1.375
-5.744 7.220 8.957
-3.517 6.088 7.330
-10.867 7.815 14.912
1.438 2.107 6.085
-5.912 2.527 13.667
5.978 6.742 1.497
-1.372 7.161 9.079
10.933 1.453 0.252
3.583 3.181 7.834
5.809 2.049 6.207
-1.540 2.586 13.789
-1.586 4.932 2.101
└──
**Completed:**
Unit cell a=5.0326 b=5.0326 c=8.1420 alpha=90.00 beta=90.00 gamma=119.27
Unit cell a=4.9845 b=4.9845 c=8.2526 alpha=90.00 beta=90.00 gamma=120.79
Unit cell a=4.9826 b=4.9826 c=8.0728 alpha=90.00 beta=90.00 gamma=120.00